One bucket of welly sanitiser, £5
One digital thermometer, £3
Stethoscope, £60
Fondling a ram's testicles* at 10am in the morning, priceless.
*strictly for veterinary examination purposes.
Monday, January 28, 2008
Dear Blog (blog)
A moment of peace has descended on the house. No-one is cooking, doing washing, running around or being loud. I am sat on the sofa blogging (obviously), and trying vainly to install some drivers for my soundcard. In a lame ass computer geek fashion I have installed linux on my computer (groan). This is mostly because windows hates my USB ports. Linux loves them - but hates my soundcard.
When I have done this I will begin working. But currently I am relaxed.
Alex is sat next to me turning up the hems of her jeans, a job she loves apparently - it's relaxing. "I'm doing major surgery," she says. "On my clothes". Being a vet, I suppose you can never be too sure when she'll be performing a laparotomy on the living room table...
Ah. All is well.
Posted by
Tom Ward
# 1
5 unconnected molecules or ions with the total composition C4H12O3S, computed with ωB97M-V with the def2-TZVPD basis set.

The geometry in XYZ format:
```
20
Properties=species:S:1:pos:R:3:nbo_charge:R:1
O 0.8556 -0.2016 -0.1397 -0.709
C -0.5491 -0.4026 -0.1159 -0.201
C -0.8099 -1.7808 -0.6012 0.313
C -1.1119 -2.8920 0.2979 -0.341
C -1.2066 -4.1869 -0.1032 -0.124
S 2.7036 3.8856 -1.4986 -0.413
H -1.1148 0.3408 -0.7648 0.258
H -0.6232 -1.9614 -1.6982 0.204
H -0.9924 -0.3786 0.9103 0.229
H 1.2951 2.2287 -1.7382 0.212
H -1.1599 -2.5157 1.3347 0.252
H -1.4021 -4.3702 -1.1653 0.224
H -1.5269 -4.8658 0.6995 0.233
H 3.3586 4.8281 -0.7381 0.171
H 0.4538 2.2068 1.1086 0.506
H 1.7864 2.7776 0.2014 0.455
O 1.5296 2.1495 0.9547 -1.026
H -1.3831 2.6061 1.5995 0.441
H 0.8626 0.6872 0.2424 0.536
O -0.9656 1.8453 1.2142 -1.222
```

Summary:
Relative energy (zero: lowest compared OMol25 entry of this formula, charge and spin): 10.299 eV
Net charge: 0
LUMO level: -3.97 eV
HOMO level: -7.769 eV
HOMO-LUMO gap: 0.1395 hartree

=====

# 2
A molecular structure, C5H8N2, computed with ωB97M-V with the def2-TZVPD basis set.

The geometry in XYZ format:
```
15
Properties=species:S:1:pos:R:3:nbo_charge:R:1
C 2.6572 -0.3779 0.1192 -0.711
C 0.5511 0.1612 0.2939 0.316
C -0.3524 -0.6436 -0.3892 -0.463
C -1.4979 0.1663 -0.2075 0.099
N -2.8264 -0.1719 -0.5209 -0.804
C -1.0748 1.3736 0.3823 -0.131
N 0.2768 1.3855 0.5985 -0.489
H 2.4705 -0.7560 1.1197 0.263
H 2.8001 -1.1931 -0.5913 0.237
H 3.4959 0.3225 0.1347 0.250
H -0.2676 -1.6647 -0.7294 0.235
H -3.4720 0.0617 0.2230 0.372
H -2.9332 -1.1494 -0.7584 0.369
H -1.6869 2.2109 0.6974 0.202
H 1.8597 0.2747 -0.3720 0.254
```

Summary:
Relative energy (zero: lowest compared OMol25 entry of this formula, charge and spin): 4.565 eV
Net charge: 0
LUMO level: 0.25 eV
HOMO level: -7.527 eV
HOMO-LUMO gap: 0.2859 hartree

=====

# 3
C26H24N2O2S in the gas phase, computed with ωB97M-V with the def2-TZVPD basis set.

The geometry in XYZ format:
```
55
Properties=species:S:1:pos:R:3:nbo_charge:R:1
C -2.6129 4.3657 9.0314 -0.602
C -2.1655 4.3033 7.6380 -0.412
C -0.6758 3.7392 7.3499 -0.078
C 0.2321 4.5667 7.8625 -0.522
S 1.4977 4.9545 6.5236 0.056
C 0.5788 3.5269 5.4743 0.411
N 0.7343 3.5387 4.1290 -0.612
C 0.1848 2.6689 3.1558 0.193
C 0.8605 2.6579 2.0002 -0.307
C 0.1477 1.6862 0.9735 -0.020
C -0.9063 0.9816 1.1022 -0.206
C -1.2269 0.1505 0.2313 0.322
O -2.4962 -0.2402 0.2392 -0.575
C -0.6261 -0.3298 -0.7768 -0.216
C -0.9935 -1.1843 -1.8592 0.004
C -0.2912 -1.5981 -3.0909 -0.105
C 1.1079 -1.8493 -3.0969 -0.155
C 1.6951 -2.2957 -4.1185 -0.260
C 1.0743 -3.0061 -5.1367 0.339
O 1.8453 -3.4332 -6.2448 -0.456
C 1.3262 -4.3681 -6.9334 0.273
C 1.4314 -4.3168 -8.3555 -0.251
C 1.1173 -5.2758 -9.2567 -0.161
C 0.4038 -6.4435 -8.5788 -0.202
C 0.2743 -6.4059 -7.3119 -0.263
C 0.6421 -5.4183 -6.4804 -0.240
C -0.5854 -2.6994 -5.2226 -0.197
C -1.0101 -2.2050 -3.9756 -0.168
C -1.2544 1.1978 2.4270 -0.068
C -0.9443 1.7844 3.5454 -0.243
**End of the molecular data**
6:06 p.m.
Tuesday, January 22, 2008
I'm in trouble.
Mary asked me to ice a cake while she was out... I fear this may be the last time I am honoured with such a request...
I had to cut the top off one to make it flat so it'd fit on the bottom... but it seemed like such a waste of good cake... so we have the cake of directorly crowning glory...
Posted by
Tom Ward
7:54 p.m.
Monday, January 21, 2008
Sunday. Moved some chairs, moved a bath, shifted a trolley back, sat on the floor, got blinded by lights, played a bath, played a table, ate a pasty, ignored free hug man, wandered home, faffed a bit, did some work, found a bedstead, rang a bell, convinced a man to give me said bedstead, brought it home with Tom, drank some tea, did some work, ate some eggs, did some work (on and off), went to bed.
Posted by
Tom Ward
10:05 a.m.
Sunday, January 20, 2008
York is a beautiful town of ancient walls, cathedrals and cute little streets paved with flags and filled with quaint little shops. It has buses that bend in the middle, a ferris wheel and an Ask pizza house in the stunning assembly hall. Conversely, York University is made out of concrete. Some of the buildings are quite impressive (central hall for example), while some are just plain mad (hedgehog buildings for example), and others just ugly. However, in
its favour it does have a huge lake (filled with ducks, and, I am reliably informed, Trevors*) and Heslington Hall, a lovely Elizabethan mansion house which stands opposite a slightly creepy topiaried Yew garden (Alice in Wonderland springs to mind).
As you can probably tell, I visited my sister at York this weekend. We had Friday off (shock horror, thanks to some smart lecture shuffling) so I went up in the early afternoon having gone down to the Corpus Playrooms in the morning to teach some actors the ChaChaCha. I don't really know the ChaChaCha, but mine and Alex's rudimentary knowledge of the basic, new york and turn steps proved useful in forging a bond between actor and actress. Anyway, I digress. Went up to York on the train (which only took 2 and a half hours!), and Hannah met me at the station. Pretty soon toad in the hole was being devoured at a local pub (the Cross Keys if anyone knows it), and Hannah was working through a steak (much to her boyfriend's gall later on!). We then toddled back to campus (on a bendy bus, oh joy of joys!), and sat in her (pretty nice) kitchen for a few hours chatting to her friends. Thinking about it, they are probably reading this, as Hannah often subjects them to this torturous site, so I suppose I'd better say something nice. Teddy Bears.
And so, we went to McQ's (it's a bar, not an exam**... I know, I was confused and slightly worried) and had a few drinks before coming back home. Hannah's house is... functional. Long corridors, no plaster (painted breeze blocks) and mildew, but it's homely now it's lived in and everyone looks settled.
The following day, Hannah took me on a tour of the campus (see above), and then she, George and me walked into town. We got some lunch (Ask - see above), and then came home again, because, like a great big retard, I forgot my camera. Arses. Really, though I convinced anyone it was because I was stupid, this was infact because I figured that was better than admitting that all I wanted to do was ride on a bendy bus again! So unnecessarily fun.
So, much fun was had. I ended up waiting ages for a bus back in Cambridge (as I didn't check the timetable until I'd been waiting for 30mins - I was too engrossed in "To Kill a Mockingbird"), but was greeted when I finally arrived by requests for chinese takeaway... so we did! Huzzah!
# Data records, kept here for reference
(1)
Formula: C4H7N3O
Source: OMol25
Level of theory: the ωB97M-V functional and the def2-TZVPD basis

Properties
SMILES = [H]/N=C\N(O)CCC#N
Energy relative to the best compared isomer or geometry (same formula, charge and spin) = 339.53 kJ/mol
Gap between HOMO and LUMO = 0.3454 hartree
LUMO level = 0.440 eV
Spin multiplicity = 1

```
15
Properties=species:S:1:pos:R:3:forces:R:3
H -0.218 1.957 1.190 1.03 -0.45 0.54
N -0.275 2.157 0.214 -1.12 2.56 -0.19
C -0.970 1.341 -0.423 0.32 -1.62 0.32
N -1.087 -0.008 -0.054 -0.19 1.73 0.19
O -1.569 -0.800 -1.071 -2.02 -0.70 -0.11
C -0.083 -0.571 0.780 1.05 0.08 1.04
C 1.191 -1.110 0.074 -0.24 -0.28 0.00
C 2.014 -0.018 -0.461 0.42 0.31 -0.18
N 2.656 0.846 -0.875 -0.37 -0.62 0.25
H -1.561 1.569 -1.297 0.34 0.11 -0.64
H -2.548 -0.805 -0.872 1.47 -0.42 -0.57
H 0.321 0.287 1.393 -0.88 -1.30 -0.17
H -0.570 -1.342 1.398 0.57 0.22 -0.02
H 0.907 -1.757 -0.745 -0.09 -0.17 -0.33
H 1.792 -1.747 0.751 -0.29 0.54 -0.14
```
Positions in Å, forces in eV/Å.

(2)
Formula: C4H7N3O
Source: OMol25
Level of theory: the ωB97M-V functional and the def2-TZVPD basis

Properties
Energy relative to the best compared isomer or geometry (same formula, charge and spin) = 839.23 kJ/mol
Gap between HOMO and LUMO = 0.3451 hartree
LUMO level = 0.509 eV
Spin multiplicity = 1

```
15
Properties=species:S:1:pos:R:3:forces:R:3
C -1.004 -1.272 -2.594 -0.17 -0.17 0.68
C -0.763 -1.353 -1.177 -1.53 2.57 -2.85
C -0.476 -0.185 0.971 0.08 1.55 2.73
C 1.991 2.245 1.649 0.16 -2.22 0.09
H -1.923 -1.854 -3.158 2.54 1.21 2.14
H -0.440 -0.628 -3.445 -0.90 -1.48 2.69
H -1.610 -1.790 -0.542 1.65 0.22 -1.18
H 0.634 0.510 -0.908 -2.30 -3.83 2.56
H -1.309 -1.841 1.170 -0.60 3.45 3.26
H 3.285 2.278 1.331 -4.50 0.38 1.11
H 1.415 2.726 2.669 2.06 -1.17 -3.06
N 0.124 -0.437 -0.352 -1.67 0.70 -1.32
N -1.275 -0.778 1.890 2.97 -3.12 -7.47
N 1.359 1.309 0.955 0.30 2.92 3.00
O -0.008 1.071 1.542 1.92 -1.00 -2.38
```
Positions in Å, forces in eV/Å.

(3)
Formula: C4H7N3O
Source: OMol25
Level of theory: the ωB97M-V functional and the def2-TZVPD basis

Properties
Energy relative to the best compared isomer or geometry (same formula, charge and spin) = 465.41 kJ/mol
Gap between HOMO and LUMO = 0.3673 hartree
LUMO level = 1.002 eV
Spin multiplicity = 1

```
15
Properties=species:S:1:pos:R:3:forces:R:3
C -1.833 -0.340 1.157 1.47 0.89 -2.27
C -2.490 0.127 -0.839 2.78 0.50 -0.48
C -0.745 0.008 0.372 2.32 0.07 2.58
C 1.344 0.122 0.930 -3.36 4.10 -1.67
N -1.171 0.342 -0.870 -1.67 -0.57 -0.63
N 2.247 -0.123 -1.304 -4.57 1.07 -0.43
N 2.114 0.729 -0.121 -1.46 -1.59 -0.16
O -2.924 -0.236 0.343 -1.05 -0.62 0.52
H -2.040 -0.619 2.141 -0.03 -0.33 1.22
H -3.137 0.089 -1.693 -0.33 0.32 0.04
H 1.317 0.649 1.885 -0.12 0.46 -0.48
H 1.416 -0.851 1.122 0.93 -4.00 0.12
H 2.965 -0.741 -1.184 2.32 -1.74 0.70
H 1.335 -0.721 -1.502 2.17 1.80 0.76
H 1.603 1.563 -0.437 0.60 -0.36 0.17
```
Positions in Å, forces in eV/Å.

(4)
Formula: C4H7N3O
Source: OMol25
*Trevor is the name given to a black Swan that attacks Hannah's kitchen window every day. Due to their rudimentary undergraduate swan differentiation skills however, this results in every black swan being named Trevor despite the fact that many are infact named Charlotte.
**MCQ = Multiple Choice Question.
Posted by
Tom Ward
3:01 p.m.
Thursday, January 17, 2008
We've just had a small ruminants practical on abortion in sheep and goats which would have been really useful, had I read through the notes - if only there was more time, and I wasn't revising BIDDS whenever a moment for work is found! All I really want at the moment is sleep!
All 4th year students are required to help lamb the uni sheep this term, and we received our timetable yesterday. The sheep are watched 24hours (infact, 24.5 hours*) every day so everyone will at somepoint have to spend a long night in the sheep-shed. Mine are scheduled for the 3rd and the 27th Feb. Here we go again - I've only done a month of lambing!
Posted by
Tom Ward
3:17 p.m.
vet school
Wednesday, January 16, 2008
Have just been to my second consultation skills seminar, which this time involved taking a fake consultation with an actor lady (sometimes known as an actress) and a toy cat, infront of a video camera. Pretty scary you think? Well, actually, you'd be right. We each took a small part of the consultation, so were only required to talk for around 3 mins max - I unfortunately had the wonderful job of telling the lady what we'd 'found' on clinical exam and list the possible options that we could take from there. I got a little verbal diarrhoea and spouted at her, so didn't do a fantastic job, but you live and learn - was well worth doing. The actress was very good, though she didn't have a massively tough role to play, just stand there and seem concerned about her cat, though she did have to reveal information to us bit by bit, and obviously had quite a meticulously planned case history hidden away. I think next time we get "angry clients", which will be... interesting!
Posted by
Tom Ward
3:15 p.m.
consultation skills,
vet school
Monday, January 14, 2008
Has been a busy morning already! Alex and Andrew have gone off to rotations (Post-Mortem and Small Animal Studies respectively), and Mary and me have been left to our own devices, which in my case has involved making phone calls and writing this blog, whilst Mary is hunting for screws for her new pannier.
Phone call wise, I have phoned our letting agent as my room has started smelling of sewage every time Andrew flushes his toilet, which is a little worrying to say the least! "I'm upset you thought I could make a smell of raw sewage!" he said. Sorry Andrew! Hopefully they'll send out a plumber today to take a look at what's going on.
I have also rung an abattoir in Halifax, and have arranged to go there for a week in August. I now have 9 weeks of EMS organised (10 if the BSAVA congress is allowed to count), and can hopefully book another 2 weeks small animal in summer to get myself up to 11!
I also have new shoes (shock-shock-horror!) to replace the infamous "Davy Shoes" given to me by Davy in 1st year. Unfortunately they have walked a fair few 100 miles in their time, and are giving up the ghost so I got a replacement pair of loafers from M&S with my Xmas voucher. However, as they are slip on, insoles were required, and what better way to use the cut off insole bits than giving them to Alex with a pair of scissors. Meet 'Shoe Shrimp' who has taken up lodging on my clock.
Posted by
Tom Ward
9:33 a.m.
shoe shrimp
Quote of the weekend:
Alex: "I've drunk 3 and a half pints of water!"
Mary: "Why?"
Alex: "I thought I'd completely replace my body water content."
Mary: "Why?"
Alex: "..Felt like a change."
We wish to point out that Alex by no means thinks that her total body water content is 3.5pts, the statement was made for comic, rather than physiologically accurate effect. We wish to apologise for any englings, physicists or possibly even vets that have been misled.
Posted by
Tom Ward
9:28 a.m.
Sunday, January 13, 2008
Which sector of society is represented by which pathogen?
So far we have decided that students are herpes, because they do alot of sleeping, and occasionally come out for a HUGE party.
Any more ideas anyone?
Posted by
Tom Ward
12:45 p.m.
infectious diseases,
Thursday, January 10, 2008
Exciting news! I am going to be stewarding at this years BSAVA (British Small Animal Veterinary Association) Congress in April. My Dad rang me up with exciting letter-related news, and it said I'd been accepted (I applied back in November)! I get accomodation in Birmingham, for 6 days and a small wage, plus the chance to hob-nob with all sorts of distinguished vetty types. Am quite excited, though a little daunted!
Posted by
Tom Ward
10:42 p.m.
vet school
Wednesday, January 09, 2008
3-1 to me. Oh yeah, you never doubted it did you.
Posted by
Tom Ward
10:17 p.m.
psyching myself up...
Am just about to go play squash. I shall report soon about my tremendous landslide victory over Mr Bates. You will all be proud
Posted by
Tom Ward
7:03 p.m.
Tuesday, January 08, 2008
Baking for Students
I am making my first loaf of the term. I took to making my own bread last term (even splashed out on a 2lb tin and a book of recipes), I suppose my genetic memory is full of it owing to my Grandfather (who was a baker) and my Dad (who has inherited, and passed on) much baking knowledge. I have even advanced to including such insane ingredients as honey, milk and wheat bran. It's really good fun, and very cathartic (a wonderful word) beating the hell out of a lump of dough, and having a tasty, stodgy, sweet smelling, warm and crisp loaf at the end of it all. The best thing about it is that baking is essentially designed for students. It takes 10-15mins to prepare everything, then you have half an hour of work time while it rises, followed by a few seconds to get it in the oven, followed by another half hour of work before it's ready. Before you know it, in less than an hour and a half you've done an hour of work and you have a tasty home-made loaf. Amazing!
Note to self: less work is done if you blog about how amazing it is that you have time for work.
Another day of lectures today - we had more small ruminants (goats and sheep knowledges were passed) and an animal breeding lecture (including photos of vibrating and thrusting dummy mares for stallion semen collection), and an introduction to nutrition (which is a particularly topical subject owing to the infamous rise to fame of "raw meaty bones"). 4 hours, 4 lectures, and much more stuff to try to learn!
........
{
  "formula": "C3H10O3",
  "method": "wB97M-V/def2-TZVPD",
  "symbols": ["C", "C", "C", "O", "H", "H", "H", "H", "H", "H", "O", "H", "H", "O", "H", "H"],
  "positions_angstrom": [[-0.1033, -1.1558, -2.0048], [0.4706, -1.1129, -0.7895], [-0.3012, -1.2874, 0.4916], [0.4431, -1.1914, 1.7698], [0.4298, -1.2226, -2.9585], [-1.1841, -1.3240, -2.1113], [1.5458, -0.8621, -0.7550], [-1.1571, -0.5858, 0.5233], [-0.8224, -2.2482, 0.5577], [0.6236, -0.2168, 1.6945], [-0.2879, 1.8956, -0.6697], [-0.5314, 2.6114, -1.2902], [-0.7485, 1.1078, -1.0012], [0.4191, 1.5406, 2.2873], [0.8530, 2.1097, 2.8523], [0.3509, 1.9418, 1.4036]],
  "forces_ev_per_a": [[-0.3, -0.7, 0.4], [0.3, 0.3, -1.0], [-0.6, -0.5, 1.7], [-0.5, 1.6, -2.9], [0.1, 0.5, 0.6], [0.3, 0.0, 0.2], [-0.5, -0.5, 0.3], [0.4, 0.1, 0.0], [0.4, -0.1, -0.4], [0.3, -1.0, 1.4], [-0.4, 0.5, -0.4], [0.2, -0.6, 0.5], [0.3, 0.2, 0.0], [-1.6, -1.8, -2.3], [1.5, 1.9, 1.7], [0.0, 0.1, 0.3]],
  "relative_energy_kcal_mol": 28.1
}

---

{
  "formula": "C23H23INO8",
  "method": "wB97M-V/def2-TZVPD",
  "symbols": ["C", "C", "C", "I", "N", "C", "C", "C", "C", "C", "C", "C", "C", "H", "H", "H", "H", "H", "H", "H", "H", "H", "H", "H", "H", "H", "H", "H", "C", "C", "C", "O", "C", "C", "C", "O", "O", "O", "H", "H", "H", "H", "C", "C", "C", "O", "C", "C", "C", "O", "O", "O", "H", "H", "H", "H"],
  "positions_angstrom": [[-4.0188, -2.2649, -6.3976], [-3.1681, -2.6463, -7.7030], [-1.5759, -2.6131, -7.4981], [-0.7320, -3.5153, -9.3559], [-0.9867, -1.2722, -7.4161], [-0.9171, -0.7837, -6.0184], [0.1590, -1.5448, -5.0868], [-0.1915, -1.1947, -3.5376], [-1.0000, 0.0504, -3.0936], [-1.3645, 0.3505, -1.6138], [-0.8734, -0.6520, -0.5328], [-0.0353, -1.8808, -0.9779], [0.3224, -2.1883, -2.4463], [-5.0594, -2.7284, -6.3589], [-3.4596, -2.4523, -5.4044], [-4.1813, -1.1189, -6.4285], [-3.5367, -2.0137, -8.5868], [-3.4347, -3.7427, -7.9728], [-1.2627, -3.3312, -6.6592], [-0.5784, 0.3244, -6.0510], [-1.9420, -0.7801, -5.5052], [0.0793, -2.6913, -5.1469], [1.2474, -1.2781, -5.3118], [-1.3897, 0.8020, -3.8701], [-1.9851, 1.2851, -1.3897], [-1.1535, -0.4619, 0.5519], [0.3282, -2.6160, -0.1698], [0.9403, -3.0973, -2.7594], [3.4196, -1.3839, 3.9786], [3.2822, -2.3858, 3.1070], [1.9743, -2.6709, 2.4511], [1.8894, -3.5827, 1.6459], [0.8276, -1.8326, 2.8124], [0.9624, -0.8327, 3.6864], [2.2778, -0.5305, 4.3218], [2.3735, 0.4026, 5.1042], [-0.0962, -0.0506, 4.0302], [4.3315, -3.1875, 2.7808], [4.3636, -1.1653, 4.4598], [-0.1195, -2.0616, 2.3424], [0.2545, 0.5982, 4.6711], [3.9764, -3.8292, 2.1346], [2.0139, 4.9789, 6.6703], [1.8774, 3.9759, 5.7985], [0.5677, 3.6911, 5.1421], [0.4796, 2.7804, 4.3362], [-0.5791, 4.5305, 5.5037], [-0.4416, 5.5298, 6.3775], [0.8726, 5.8317, 7.0125], [0.9639, 6.7649, 7.7928], [-1.4976, 6.3154, 6.7245], [2.9282, 3.1769, 5.4758], [2.9575, 5.1980, 7.1518], [-1.5268, 4.3028, 5.0344], [-1.1408, 6.9609, 7.3654], [2.5780, 2.5305, 4.8285]],
........
Posted by
Tom Ward
9:16 p.m.
cambridge work,
Monday, January 07, 2008
Full of Toffee
I am currently gummed up with toffee. I forgot to mention that I received a huge amount of sticky nut and raising toffee for Xmas from Hannah (sorry). The toffee is amazing, but there's no way you could eat more than 3 squared cm of it without dying a diabetic death. It's terrifying, but fantastic. I don't know what my dentist will say...
Posted by
Tom Ward
6:10 p.m.
Ventured out to the Arts Picture House yesterday with Alex, Vicky and Tom to see the 1958 version of Dracula starring Christopher Lee. It was pretty good, though I must admit to being very bored in the 1st half an hour, it quickly picked up and made for a fantastic film. And at only 83mins, I didn't feel like huge amounts of time were wasted. The film equivalent of the 39 Steps. Much of the action was left "implied" which means the film didn't spend ages romping through all the unnecessary action - e.g. setting up a blood transfusion apparatus etc. Very good film, though surprisingly bright and sunny (when compared with horror films of today).
Posted by
Tom Ward
10:32 a.m.
Sunday, January 06, 2008
Back in cambridge
Back in Cambridge. The 1st day involved shopping (bought some door hooks which promptly fell off in the middle of the night waking me up as my coat went crashing to the floor, toothpaste and other such essentials), chinese takeaway, and the major event of the day, website creation for Vicky and Alex's plays, unified under the title "Broken Glass" - click here ( for a look, and if you're in the Cambridge area make sure you come along!
Posted by
Tom Ward
12:57 p.m.
broken glass,
Wednesday, January 02, 2008
End the Neglect.
I'm currently going through my "Never Listened To" Playlist - as I realised I had about 500 tracks that I'd never listened to. Some of them I have, just not on Itunes etc, but it still upsets me to think that some of my music has been neglected. I like to think that I like all of my music (with the exception of odd tracks on albums). How many unlistened-to tracks do you have? Stop the neglect -listen to them.
Posted by
Tom Ward
3:32 p.m.
Happy New Year Everyone. Welcome to 2008 (he says as if he is the guardian of the lockers to which people are welcomed at the start of a new year), welcome.
I spent New Year at Rahul's - We'd been to Asda a few days previously so he could buy "some" food, and managed to fill a whole trolley (which at Asda is a feat I can tell you - no plastic cutlery (!) and no plastic champagne flutes (!) what is the world coming to ;) ). Then, having driven them home we got all this shopping up 5 flights of stairs (in one trip may I add) and he was stocked up for party. However, when the big day arrived it became clear that buying unprepared food (peppers, mushrooms, lamb) etc. was maybe a bad idea as it required much oven space which was seriously lacking, and time, which was also lacking, particularly as it stole time away from vital celebration and drinking time (in the intervening days he'd bought a huge amount of drink, which I found chilling on his balcony).
Anyway, much fun was had (and we did have some kebabs, which were fabtastic) and Rahul, Duncan, me and many of Rahul's uni friends welcomed in the new year with a fantastic panoramic firework display from his 5th floor window - at least 40 displays going on simulataneously (with one almost exploding right outside the window). Great :)
Posted by
Tom Ward
3:00 p.m.
Tuesday, January 01, 2008
- To blog more during term - now I am a clinical vet student it becomes much more imperative that I blog! Surely my vettings are the only interesting thing that gets put on here anyway!
- To stay fit. Seemingly walking 4 miles a day is not enough to stave off uber-uni-belly (which I lost in a week of Xmas tree selling). Situps?
Posted by
Tom Ward
3:36 p.m.